(Assignment)
Say how many lines of the notes underneath hold the word "Radiation", as a bare number.
(Entries)
/*
(1)
Theoretical X-ray diffraction stick pattern
Compound: SrMg6CrO8
Radiation: Cu Kα, 1.54184 Å
Structure: a cell relaxed with PBE+U
Kinematic intensities with the Lorentz-polarization factor, no thermal factor.

The 12 most intense peaks (2θ = 15–90°), low angle first:
2θ/deg	d_spacing	intensity	index
19.60	4.530	28	1 0 0
20.37	4.360	14	0 0 2
27.85	3.203	12	1 1 0
28.41	3.141	24	1 0 2
34.75	2.581	43	1 1 2
39.80	2.265	100	2 0 0
41.42	2.180	43	0 0 4
49.62	1.837	9	2 1 2
57.55	1.601	30	2 2 0
58.79	1.571	53	2 0 4
69.01	1.361	15	3 1 2
73.35	1.291	25	2 2 4

Atomic structure:
```
SrMg6CrO8
1.0
4.5296 0.0000 0.0000
0.0000 4.5296 0.0000
0.0000 0.0000 8.7206
Sr Mg Cr O
1 6 1 8
Direct
0.0000 0.0000 0.0000
0.0000 0.5000 0.2603
0.0000 0.5000 0.7397
0.5000 0.0000 0.2603
0.5000 0.0000 0.7397
0.5000 0.5000 0.0000
0.5000 0.5000 0.5000
0.0000 0.0000 0.5000
0.0000 0.0000 0.2705
0.0000 0.0000 0.7295
0.0000 0.5000 0.0000
0.0000 0.5000 0.5000
0.5000 0.0000 0.0000
0.5000 0.0000 0.5000
0.5000 0.5000 0.2519
0.5000 0.5000 0.7481
```

(2)
Theoretical X-ray diffraction stick pattern
Compound: MgVPbO3
Radiation: Cu Kα, 1.54184 Å
Structure: a cell relaxed with PBE+U
Kinematic intensities with the Lorentz-polarization factor, no thermal factor.

The 12 most intense peaks (2θ = 15–90°), low angle first:
2θ/deg	d_spacing	intensity	index
23.56	3.776	47	1 0 0
26.05	3.421	43	0 0 2
26.97	3.306	100	1 0 1
33.57	2.670	53	1 1 0
35.41	2.535	81	1 0 2
36.12	2.487	53	1 1 1
42.97	2.105	28	1 1 2
48.21	1.888	29	2 0 0
52.79	1.734	28	1 1 3
55.61	1.653	20	2 0 2
56.10	1.639	28	2 1 1
61.22	1.514	34	2 1 2

Atomic structure:
```
MgVPbO3
1.0
3.7755 0.0000 0.0000
0.0000 3.7755 0.0000
0.0000 0.0000 6.8416
Mg V Pb O
1 1 1 3
Direct
0.0000 0.0000 0.0000
0.5000 0.5000 0.7942
0.0000 0.0000 0.4681
0.0000 0.5000 0.9067
0.5000 0.0000 0.9067
0.5000 0.5000 0.5198
```

(3)
Theoretical X-ray diffraction stick pattern
Compound: BaZnCoF7
Radiation: Cu Kα, 1.54184 Å
Structure: a cell relaxed with PBE+U
Kinematic intensities with the Lorentz-polarization factor, no thermal factor.

The 12 most intense peaks (2θ = 15–90°), low angle first:
2θ/deg	d_spacing	intensity	index
25.18	3.536	100	1 2 -1
25.28	3.522	66	1 1 -2
25.75	3.460	48	0 2 2
26.51	3.362	96	1 1 2
29.30	3.049	41	0 1 3
31.11	2.875	40	1 3 0
31.60	2.832	40	2 0 0
40.34	2.236	44	2 2 -2
40.71	2.216	57	1 4 1
41.73	2.164	33	0 2 4
52.18	1.753	33	3 2 -1
54.45	1.685	31	1 2 5

Atomic structure:
```
BaZnCoF7
1.0
5.6717 0.0000 0.0000
0.0000 10.0119 0.0000
-0.5154 0.0000 9.6018
Ba Zn Co F
4 4 4 28
Direct
0.2358 0.1871 0.0001
0.2358 0.3129 0.5001
0.7642 0.6871 0.4999
0.7642 0.8129 0.9999
0.1982 0.6003 0.8095
0.1982 0.8997 0.3095
0.8018 0.1003 0.6905
0.8018 0.3997 0.1905
0.3050 0.6117 0.1899
0.3050 0.8883 0.6899
0.6950 0.1117 0.3101
0.6950 0.3883 0.8101
0.0217 0.7091 0.2491
0.0217 0.7909 0.7491
0.1163 0.5413 0.6200
0.1163 0.9587 0.1200
0.1359 0.0504 0.6289
0.1359 0.4496 0.1289
0.2423 0.6914 0.0084
0.2423 0.8086 0.5084
0.3859 0.5438 0.3640
0.3859 0.9562 0.8640
0.3886 0.0575 0.3793
0.3886 0.4425 0.8793
0.4794 0.7210 0.7497
0.4794 0.7790 0.2497
0.5206 0.2210 0.7503
0.5206 0.2790 0.2503
0.6114 0.5575 0.1207
0.6114 0.9425 0.6207
0.6141 0.0438 0.1360
0.6141 0.4562 0.6360
0.7577 0.1914 0.4916
0.7577 0.3086 0.9916
0.8641 0.5504 0.8711
0.8641 0.9496 0.3711
0.8837 0.0413 0.8800
0.8837 0.4587 0.3800
0.9783 0.2091 0.2509
0.9783 0.2909 0.7509
```

What is the formula in the second record?
MgVPbO3

* * * * *

Li3Mg: simulated powder diffraction line list (CuKα), based on a PBE-relaxed structure.

Main lines, by intensity (2θ from 5° to 70°):
hkl 1 2 1, 38.32°, d 2.349, I 100.0
hkl 0 1 1, 18.92°, d 4.691, I 65.8
hkl 0 2 0, 17.86°, d 4.966, I 37.7
hkl 1 0 1, 33.58°, d 2.669, I 25.8
hkl 0 4 2, 50.21°, d 1.817, I 24.2
hkl 0 4 0, 36.18°, d 2.483, I 24.1
hkl 1 1 0, 30.34°, d 2.946, I 19.8
hkl 1 6 1, 66.48°, d 1.406, I 18.7
hkl 0 3 1, 31.83°, d 2.811, I 17.4
hkl 0 0 2, 33.68°, d 2.661, I 13.3

a b c (Å): 3.0844 9.9321 5.3218
angles (deg): 90.00 90.00 90.00
*/
(Outcome)
3